_What to do_
Work out how many lines further below have the word "Open" in them; a number is enough, please.

_Source_
+++
Formula: C44H101CuKN5O21
Source: the Open Molecules 2025 dataset
Level of theory: ωB97M-V/def2-TZVPD

Results
Multiplicity: 2
E_HOMO (spin up / spin down), eV: -9.7 / -9.7
HOMO-LUMO gap (spin up / spin down), eV: 7.36 / 5.18
Expectation value of S²: 0.753
E_LUMO (spin up / spin down), Ha: -0.0868 / -0.1666
Total charge: +1

```
173
Properties=species:S:1:pos:R:3:forces:R:3
H 3.815 -2.050 -1.096 -0.357 -0.237 -0.653
H 0.497 3.598 4.312 -0.674 -0.178 -0.048
H 0.915 -7.125 7.482 -0.238 -0.098 0.399
C 5.448 5.602 1.156 0.397 -1.071 0.800
C -1.029 -3.167 6.096 0.597 -0.741 0.502
C 5.401 6.722 3.457 0.434 -0.637 0.026
H -0.017 -3.023 6.474 0.052 0.846 0.803
C 0.301 5.267 -3.062 0.666 1.318 0.151
H -3.160 -6.162 3.664 -0.227 0.079 0.071
H -0.705 5.636 -3.261 -0.250 -0.431 0.339
H -3.232 -8.912 5.623 0.190 -0.321 0.460
C -4.134 -1.878 -3.149 1.031 0.205 -1.529
H -1.265 -5.311 -0.418 -0.679 -0.256 -0.633
H -0.840 5.837 2.303 -0.357 0.396 -0.511
H 2.081 -2.697 -3.047 -0.440 0.152 -0.237
C -1.976 1.519 -3.482 0.168 -0.702 0.520
H 0.769 -1.448 -4.999 -0.033 -0.429 -0.046
O -1.499 1.064 -4.752 -0.900 0.390 1.704
O 2.474 -0.796 -2.253 -0.061 0.515 1.100
H 6.049 6.750 4.333 0.305 -0.136 -0.060
C 2.179 0.755 -5.410 -0.670 1.206 0.177
H -2.752 -7.422 -6.174 0.175 -0.176 -0.633
H -1.202 -4.202 6.390 -0.010 -0.452 -1.314
N 1.105 0.496 -4.391 3.348 0.197 0.871
C -3.766 -1.623 -1.676 -0.366 -2.255 -2.877
C 2.080 2.242 -5.983 0.044 -0.851 1.314
C -0.956 -5.734 -4.269 2.786 1.075 -1.733
H 4.440 6.410 3.868 -0.587 0.882 -0.061
H 1.591 2.091 -8.419 0.302 -0.597 -0.258
H 5.753 8.967 3.504 1.164 -0.644 0.719
C 1.421 6.275 -4.892 0.308 1.746 -1.684
O 0.968 4.406 4.528 -0.864 -0.886 -0.253
H -2.268 -7.071 1.219 -0.111 -0.552 0.088
O -1.991 -6.316 -4.819 -0.712 0.579 0.262
H 5.787 4.376 -0.560 -0.145 -0.263 -0.301
H -1.843 -2.163 -5.544 0.286 -0.004 0.389
H -2.366 -8.106 7.976 -0.173 0.746 0.168
C 0.625 1.323 0.501 -1.781 -0.846 3.104
H -3.482 -7.837 3.167 -0.066 -0.038 0.211
C 5.426 8.181 2.823 0.897 -1.379 2.198
H -3.288 -1.305 -5.794 -0.725 0.436 0.963
H -1.645 -3.701 -1.181 -0.171 -0.168 0.338
H 0.647 6.949 -5.259 -0.599 -0.038 0.108
H -5.407 0.089 2.120 0.307 -0.120 0.445
C -1.043 -0.220 2.245 -2.754 -1.166 2.410
H -4.415 -2.975 2.168 0.159 0.253 -0.032
O -0.953 -5.798 2.136 0.390 -0.792 0.820
H 0.784 6.029 -2.450 0.229 0.621 -0.520
C -1.078 -0.584 0.943 2.387 1.637 -4.270
H -3.358 -2.583 -1.359 0.689 0.142 0.428
O -0.424 1.531 3.899 -1.012 -1.144 0.234
H 2.158 -1.954 5.399 0.453 0.396 -0.325
H 0.562 7.594 0.559 -0.118 0.180 -0.078
H 0.639 0.667 -7.806 0.450 -0.157 0.792
O -1.233 -5.368 -3.055 -1.495 -0.147 0.658
O -0.284 7.159 0.688 -0.719 0.146 -0.076
H 0.872 2.710 2.149 0.320 -0.084 0.253
O -2.091 -2.457 6.718 0.146 1.003 0.011
C -1.938 -6.697 -6.189 -0.302 -1.466 0.310
H -3.282 -3.086 -5.618 -0.409 0.131 -0.613
H 2.599 3.016 4.456 -0.224 0.041 0.015
H 1.558 3.849 -2.005 0.374 0.943 0.042
H -1.069 -8.728 7.101 0.165 -0.101 -0.600
O -1.120 -6.661 7.063 0.547 0.269 0.288
H -2.181 -5.949 -6.944 0.323 0.475 0.492
C 3.104 -1.227 -1.031 0.993 0.869 0.502
H 2.300 8.745 3.454 0.234 -0.429 0.039
H -0.117 2.111 -8.315 -0.156 0.054 -0.011
C -0.883 -4.449 -0.964 -0.641 -0.149 1.313
H -2.365 -2.990 7.468 -0.093 0.160 0.055
H 0.093 4.059 -1.160 -0.446 0.587 -0.171
H 3.558 3.566 0.414 0.099 0.229 -0.013
C -0.033 6.134 1.634 1.531 -0.057 0.098
H 6.144 8.185 2.003 -0.481 0.116 -0.454
C -2.887 -2.147 -5.230 0.700 -1.888 0.184
H 0.788 6.477 2.264 -0.031 -0.218 0.418
C -1.535 -4.553 2.223 -0.619 0.750 -1.426
H -1.786 3.652 -3.421 0.084 0.096 -0.016
H 0.447 3.336 -3.727 -0.159 -1.868 -1.921
C 0.279 -6.675 6.720 -0.201 -0.281 0.278
H 1.932 0.218 3.441 -0.406 -0.093 0.194
H 1.984 6.050 -5.798 0.260 -0.207 0.178
C 0.768 1.749 -7.792 -1.008 1.363 -1.955
N 5.847 5.576 2.599 0.233 1.279 -2.100
H 3.144 0.489 -4.980 0.128 0.453 -0.105
H 0.865 -1.827 4.175 0.380 -0.588 -0.545
O 0.841 2.499 -6.613 0.379 -1.281 0.723
O 0.126 -5.502 -4.812 -1.314 -0.503 0.363
+++

_Written answer_
1